-- Entries --
# 1
CoNiMo2N, relaxed, DFT GGA-PBE; uncorrected formation energy = -0.039 eV per atom; crystal system = tetragonal; DOS(E_F) = 1.245 states/eV/atom; volume = 12.2 Å³ per atom; SG = P4/mmm
1.0
-3.688 1.662 0.331
-1.146 -1.862 -3.419
-1.139 -2.921 1.973
Mo Ni Co N
2 1 1 1
Cartesian
-1.844 0.831 0.165
-0.573 -0.931 -1.709
-2.986 -1.561 -0.558
-0.570 -1.461 0.986
0.000 0.000 0.000

# 2
LiCr2H, relaxed, DFT GGA-PBE; crystal system = tetragonal; DOS(E_F) = 1.180 states/eV/atom; volume = 12.1 Å³ per atom; SG = I4_1/amd; E = -5.431 eV per atom
1.0
5.158 0.000 0.000
0.000 5.158 0.000
2.579 2.579 3.641
Li H Cr
2 2 4
Cartesian
0.000 0.000 0.000
5.158 2.579 1.821
2.579 5.158 1.821
2.579 2.579 0.000
2.580 1.289 0.910
2.577 3.868 0.910
3.868 5.156 2.731
6.447 5.159 2.731

# 3
NaAl5Ag7, relaxed, DFT GGA-PBE; formation enthalpy at 0 K = -0.8 eV per formula unit; crystal system = orthorhombic; DOS(E_F) = 0.433 states/eV/atom; volume = 18.0 Å³ per atom; SG = Imm2
1.0
5.017 0.000 2.060
2.516 6.570 1.011
0.013 0.001 7.107
Al Ag Na
5 7 1
Cartesian
1.278 3.234 7.604
2.545 6.559 4.519
5.592 5.106 7.798
3.781 3.234 8.632
5.048 6.559 5.547
3.060 1.313 6.825
4.146 2.301 4.182
6.674 4.339 5.164
1.952 1.470 2.386
3.340 4.429 6.144
4.525 5.155 3.259
5.880 2.255 7.098
5.002 0.039 2.096

# 4
K3NaBr, relaxed, DFT GGA-PBE; uncorrected formation energy = -0.621 eV per atom; crystal system = cubic; DOS(E_F) = 0.608 states/eV/atom; volume = 55.5 Å³ per atom; SG = Pm-3m
1.0
6.523 0.000 0.000
0.000 6.523 0.000
0.000 0.000 6.523
K Br Na
3 1 1
Cartesian
3.261 0.000 0.000
0.000 3.261 0.000
0.000 0.000 3.261
0.000 0.000 0.000
3.261 3.261 3.261

# 5
ScIn2Ge, relaxed, DFT GGA-PBE; formation enthalpy at 0 K = -1.2 eV per formula unit; crystal system = tetragonal; DOS(E_F) = 0.427 states/eV/atom; volume = 21.6 Å³ per atom; SG = P4/mmm
1.0
4.834 0.000 0.000
0.000 4.230 0.000
0.000 0.000 4.230
In Ge Sc
2 1 1
Cartesian
0.000 0.000 2.115
0.000 2.115 0.000
2.417 2.115 2.115
2.417 0.000 0.000

# 6
Tb2ScAl2Rh5, relaxed, DFT GGA-PBE; formation enthalpy at 0 K = -9.1 eV per formula unit; crystal system = tetragonal; DOS(E_F) = 0.560 states/eV/atom; volume = 17.4 Å³ per atom; SG = P4/mbm
1.0
-1.234 -0.673 -3.144
-3.483 -8.851 3.262
-8.718 4.348 2.491
Rh Sc Tb Al
10 2 4 4
Cartesian
-5.682 -7.679 1.988
-4.662 -2.894 0.563
-7.753 2.503 0.621
-2.358 -4.762 0.059
-6.851 -4.731 1.816
-4.976 1.838 -0.327
-11.499 -3.288 3.331
-6.584 -0.446 0.793
-8.773 -2.283 2.046
-1.936 -1.888 -0.722
0.000 0.000 0.000
-6.100 -2.252 2.877
-8.752 -4.383 4.374
-3.449 -0.120 1.379
-8.339 0.705 3.122
-3.862 -5.208 2.631
-6.321 -6.116 3.790
-9.807 -1.723 4.218
-5.880 1.613 1.963
-2.394 -2.780 1.535

* * * * *

Entry 1:
A plane-wave DFT calculation with GGA+U was carried out for a relaxed structure of VGaWO6.

Summary:
V: 11.07 Å³ per atom
space group: No. 163

Structure (CIF):
```
data_VGaWO6
_chemical_formula_sum 'V2 Ga2 W2 O12'
_space_group_name_H-M_alt 'P 1'
_space_group_IT_number 1
_space_group_name_Hall 'P 1'
_cell_length_a 5.0616
_cell_length_b 5.0616
_cell_length_c 8.9801
_cell_angle_alpha 90.00
_cell_angle_beta 90.00
_cell_angle_gamma 120.00
loop_
_atom_site_label
_atom_site_type_symbol
_atom_site_fract_x
_atom_site_fract_y
_atom_site_fract_z
O1 O 0.3366 0.9915 0.1309
V1 V 0.0000 0.0000 0.5000
V2 V 0.0000 0.0000 0.0000
W1 W 0.6667 0.3333 0.7500
Ga1 Ga 0.3333 0.6667 0.7500
O2 O 0.6548 0.9915 0.3691
O3 O 0.6548 0.6634 0.1309
O4 O 0.6634 0.6548 0.6309
O5 O 0.9915 0.3366 0.6309
O6 O 0.3452 0.0085 0.6309
O7 O 0.9915 0.6548 0.8691
O8 O 0.6634 0.0085 0.8691
W2 W 0.3333 0.6667 0.2500
O9 O 0.3452 0.3366 0.8691
O10 O 0.0085 0.6634 0.3691
O11 O 0.0085 0.3452 0.1309
Ga2 Ga 0.6667 0.3333 0.2500
O12 O 0.3366 0.3452 0.3691
```

***

Entry 2:
A plane-wave DFT calculation with GGA+U was carried out for a relaxed structure of GaPbWO6.

Summary:
V: 13.31 Å³ per atom
space group: No. 149

Structure (CIF):
```
data_GaPbWO6
_chemical_formula_sum 'Ga1 Pb1 W1 O6'
_space_group_name_H-M_alt 'P 1'
_space_group_IT_number 1
-- To do --
Your job: return everything further above with every line break kept.
-- Reply --
# 1
CoNiMo2N, relaxed, DFT GGA-PBE; uncorrected formation energy = -0.039 eV per atom; crystal system = tetragonal; DOS(E_F) = 1.245 states/eV/atom; volume = 12.2 Å³ per atom; SG = P4/mmm
1.0
-3.688 1.662 0.331
-1.146 -1.862 -3.419
-1.139 -2.921 1.973
Mo Ni Co N
2 1 1 1
Cartesian
-1.844 0.831 0.165
-0.573 -0.931 -1.709
-2.986 -1.561 -0.558
-0.570 -1.461 0.986
0.000 0.000 0.000

# 2
LiCr2H, relaxed, DFT GGA-PBE; crystal system = tetragonal; DOS(E_F) = 1.180 states/eV/atom; volume = 12.1 Å³ per atom; SG = I4_1/amd; E = -5.431 eV per atom
1.0
5.158 0.000 0.000
0.000 5.158 0.000
2.579 2.579 3.641
Li H Cr
2 2 4
Cartesian
0.000 0.000 0.000
5.158 2.579 1.821
2.579 5.158 1.821
2.579 2.579 0.000
2.580 1.289 0.910
2.577 3.868 0.910
3.868 5.156 2.731
6.447 5.159 2.731

# 3
NaAl5Ag7, relaxed, DFT GGA-PBE; formation enthalpy at 0 K = -0.8 eV per formula unit; crystal system = orthorhombic; DOS(E_F) = 0.433 states/eV/atom; volume = 18.0 Å³ per atom; SG = Imm2
1.0
5.017 0.000 2.060
2.516 6.570 1.011
0.013 0.001 7.107
Al Ag Na
5 7 1
Cartesian
1.278 3.234 7.604
2.545 6.559 4.519
5.592 5.106 7.798
3.781 3.234 8.632
5.048 6.559 5.547
3.060 1.313 6.825
4.146 2.301 4.182
6.674 4.339 5.164
1.952 1.470 2.386
3.340 4.429 6.144
4.525 5.155 3.259
5.880 2.255 7.098
5.002 0.039 2.096

# 4
K3NaBr, relaxed, DFT GGA-PBE; uncorrected formation energy = -0.621 eV per atom; crystal system = cubic; DOS(E_F) = 0.608 states/eV/atom; volume = 55.5 Å³ per atom; SG = Pm-3m
1.0
6.523 0.000 0.000
0.000 6.523 0.000
0.000 0.000 6.523
K Br Na
3 1 1
Cartesian
3.261 0.000 0.000
0.000 3.261 0.000
0.000 0.000 3.261
0.000 0.000 0.000
3.261 3.261 3.261

# 5
ScIn2Ge, relaxed, DFT GGA-PBE; formation enthalpy at 0 K = -1.2 eV per formula unit; crystal system = tetragonal; DOS(E_F) = 0.427 states/eV/atom; volume = 21.6 Å³ per atom; SG = P4/mmm
1.0
4.834 0.000 0.000
0.000 4.230 0.000
0.000 0.000 4.230
In Ge Sc
2 1 1
Cartesian
0.000 0.000 2.115
0.000 2.115 0.000
2.417 2.115 2.115
2.417 0.000 0.000

# 6
Tb2ScAl2Rh5, relaxed, DFT GGA-PBE; formation enthalpy at 0 K = -9.1 eV per formula unit; crystal system = tetragonal; DOS(E_F) = 0.560 states/eV/atom; volume = 17.4 Å³ per atom; SG = P4/mbm
1.0
-1.234 -0.673 -3.144
-3.483 -8.851 3.262
-8.718 4.348 2.491
Rh Sc Tb Al
10 2 4 4
Cartesian
-5.682 -7.679 1.988
-4.662 -2.894 0.563
-7.753 2.503 0.621
-2.358 -4.762 0.059
-6.851 -4.731 1.816
-4.976 1.838 -0.327
-11.499 -3.288 3.331
-6.584 -0.446 0.793
-8.773 -2.283 2.046
-1.936 -1.888 -0.722
0.000 0.000 0.000
-6.100 -2.252 2.877
-8.752 -4.383 4.374
-3.449 -0.120 1.379
-8.339 0.705 3.122
-3.862 -5.208 2.631
-6.321 -6.116 3.790
-9.807 -1.723 4.218
-5.880 1.613 1.963
-2.394 -2.780 1.535

* * * * *

Entry 1:
A plane-wave DFT calculation with GGA+U was carried out for a relaxed structure of VGaWO6.

Summary:
V: 11.07 Å³ per atom
space group: No. 163

Structure (CIF):
```
data_VGaWO6
_chemical_formula_sum 'V2 Ga2 W2 O12'
_space_group_name_H-M_alt 'P 1'
_space_group_IT_number 1
_space_group_name_Hall 'P 1'
_cell_length_a 5.0616
_cell_length_b 5.0616
_cell_length_c 8.9801
_cell_angle_alpha 90.00
_cell_angle_beta 90.00
_cell_angle_gamma 120.00
loop_
_atom_site_label
_atom_site_type_symbol
_atom_site_fract_x
_atom_site_fract_y
_atom_site_fract_z
O1 O 0.3366 0.9915 0.1309
V1 V 0.0000 0.0000 0.5000
V2 V 0.0000 0.0000 0.0000
W1 W 0.6667 0.3333 0.7500
Ga1 Ga 0.3333 0.6667 0.7500
O2 O 0.6548 0.9915 0.3691
O3 O 0.6548 0.6634 0.1309
O4 O 0.6634 0.6548 0.6309
O5 O 0.9915 0.3366 0.6309
O6 O 0.3452 0.0085 0.6309
O7 O 0.9915 0.6548 0.8691
O8 O 0.6634 0.0085 0.8691
W2 W 0.3333 0.6667 0.2500
O9 O 0.3452 0.3366 0.8691
O10 O 0.0085 0.6634 0.3691
O11 O 0.0085 0.3452 0.1309
Ga2 Ga 0.6667 0.3333 0.2500
O12 O 0.3366 0.3452 0.3691
```

***

Entry 2:
A plane-wave DFT calculation with GGA+U was carried out for a relaxed structure of GaPbWO6.

Summary:
V: 13.31 Å³ per atom
space group: No. 149

Structure (CIF):
```
data_GaPbWO6
_chemical_formula_sum 'Ga1 Pb1 W1 O6'
_space_group_name_H-M_alt 'P 1'
_space_group_IT_number 1